To do.
Give back all of the listing underneath without additions.
Input.
CrO2: simulated PXRD pattern (CuKα), based on the GGA+U geometry in the Materials Project.

The 8 most intense peaks (10° ≤ 2θ ≤ 90°), sorted by position:
- 2θ 18.5, intensity 100
- 2θ 35.3, intensity 31
- 2θ 43.2, intensity 46
- 2θ 47.3, intensity 7
- 2θ 57.4, intensity 15
- 2θ 62.3, intensity 14
- 2θ 63.1, intensity 9
- 2θ 65.6, intensity 14

Structure:
Cell: 5.090 5.090 5.090 Å, 34.05 34.05 34.05°
Sites, in units of the cell vectors:
Cr  0.000  0.000  0.000
O  0.269  0.269  0.269
O  0.731  0.731  0.731

=====

MgMo2P2O9: simulated PXRD pattern (CuKα), based on the GGA+U geometry in the Materials Project.

The 8 most intense peaks (10° ≤ 2θ ≤ 90°), sorted by position:
- 2θ 11.9, intensity 31
- 2θ 17.1, intensity 55
- 2θ 21.7, intensity 52
- 2θ 25.4, intensity 66
- 2θ 30.2, intensity 100
- 2θ 32.5, intensity 42
- 2θ 38.7, intensity 27
- 2θ 52.5, intensity 31

Structure:
Cell: 14.915 6.656 7.228 Å, 90.00 90.00 90.00°
Sites, in units of the cell vectors:
Mg  0.229  0.250  0.072
Mg  0.271  0.750  0.572
Mg  0.729  0.250  0.428
Mg  0.771  0.750  0.928
Mo  0.000  0.000  0.000
Mo  0.000  0.500  0.000
Mo  0.124  0.250  0.629
Mo  0.376  0.750  0.129
Mo  0.500  0.000  0.500
Mo  0.500  0.500  0.500
Mo  0.624  0.250  0.871
Mo  0.876  0.750  0.371
P  0.079  0.750  0.622
P  0.192  0.750  0.102
P  0.308  0.250  0.602
P  0.421  0.250  0.122
P  0.579  0.750  0.878
P  0.692  0.750  0.398
P  0.808  0.250  0.898
P  0.921  0.250  0.378
O  0.010  0.750  0.470
O  0.029  0.750  0.814
O  0.065  0.250  0.886
O  0.137  0.551  0.104
O  0.137  0.949  0.104
O  0.145  0.571  0.612
O  0.145  0.929  0.612
O  0.241  0.250  0.436
O  0.248  0.250  0.782
O  0.252  0.750  0.282
O  0.259  0.750  0.936
O  0.355  0.071  0.112
O  0.355  0.429  0.112
O  0.363  0.051  0.604
O  0.363  0.449  0.604
O  0.435  0.750  0.386
O  0.471  0.250  0.314
O  0.490  0.250  0.970
O  0.510  0.750  0.030
O  0.529  0.750  0.686
O  0.565  0.250  0.614
O  0.637  0.551  0.396
O  0.637  0.949  0.396
O  0.645  0.571  0.888
O  0.645  0.929  0.888
O  0.741  0.250  0.064
O  0.748  0.250  0.718
O  0.752  0.750  0.218
O  0.759  0.750  0.564
O  0.855  0.071  0.388
O  0.855  0.429  0.388
O  0.863  0.051  0.896
O  0.863  0.449  0.896
O  0.935  0.750  0.114
O  0.971  0.250  0.186
O  0.990  0.250  0.530

=====

Li7Mn11O24: simulated PXRD pattern (CuKα), based on the GGA+U geometry in the Materials Project.

The 8 most intense peaks (10° ≤ 2θ ≤ 90°), sorted by position:
- 2θ 18.3, intensity 100
- 2θ 18.6, intensity 49
- 2θ 35.0, intensity 12
- 2θ 35.7, intensity 17
- 2θ 36.2, intensity 26
- 2θ 42.4, intensity 30
- 2θ 43.8, intensity 54
- 2θ 62.6, intensity 33

Structure:
Cell: 5.935 5.935 14.591 Å, 90.96 90.96 58.21°
Sites, in units of the cell vectors:
Li  0.000  0.000  0.000
Li  0.021  0.021  0.144
Li  0.328  0.328  0.199
Li  0.342  0.342  0.456
Li  0.658  0.658  0.544
Li  0.672  0.672  0.801
Li  0.979  0.979  0.856
Mn  0.000  0.000  0.500
Mn  0.000  0.500  0.000
Mn  0.162  0.662  0.667
Mn  0.165  0.165  0.668
Mn  0.337  0.337  0.840
Mn  0.338  0.838  0.333
Mn  0.500  0.000  0.000
Mn  0.662  0.162  0.667
Mn  0.663  0.663  0.160
Mn  0.835  0.835  0.332
Mn  0.838  0.338  0.333
O  0.015  0.015  0.265
O  0.038  0.485  0.744
O  0.147  0.637  0.915
O  0.161  0.161  0.405
O  0.161  0.708  0.409
O  0.178  0.178  0.921
O  0.292  0.839  0.591
O  0.322  0.322  0.067
O  0.345  0.345  0.593
O  0.363  0.853  0.085
O  0.479  0.479  0.748
O  0.485  0.038  0.744
O  0.515  0.962  0.256
O  0.521  0.521  0.252
O  0.637  0.147  0.915
O  0.655  0.655  0.407
O  0.678  0.678  0.933
O  0.708  0.161  0.409
O  0.822  0.822  0.079
O  0.839  0.292  0.591
O  0.839  0.839  0.595
O  0.853  0.363  0.085
O  0.962  0.515  0.256
O  0.985  0.985  0.735

=====

Sr2NdVO6: simulated PXRD pattern (CuKα), based on the GGA+U geometry in the Materials Project.

The 8 most intense peaks (10° ≤ 2θ ≤ 90°), sorted by position:
- 2θ 18.3, intensity 11
- 2θ 30.1, intensity 100
- 2θ 35.5, intensity 11
- 2θ 43.2, intensity 34
- 2θ 53.5, intensity 39
Here it is.
CrO2: simulated PXRD pattern (CuKα), based on the GGA+U geometry in the Materials Project.

The 8 most intense peaks (10° ≤ 2θ ≤ 90°), sorted by position:
- 2θ 18.5, intensity 100
- 2θ 35.3, intensity 31
- 2θ 43.2, intensity 46
- 2θ 47.3, intensity 7
- 2θ 57.4, intensity 15
- 2θ 62.3, intensity 14
- 2θ 63.1, intensity 9
- 2θ 65.6, intensity 14

Structure:
Cell: 5.090 5.090 5.090 Å, 34.05 34.05 34.05°
Sites, in units of the cell vectors:
Cr  0.000  0.000  0.000
O  0.269  0.269  0.269
O  0.731  0.731  0.731

=====

MgMo2P2O9: simulated PXRD pattern (CuKα), based on the GGA+U geometry in the Materials Project.

The 8 most intense peaks (10° ≤ 2θ ≤ 90°), sorted by position:
- 2θ 11.9, intensity 31
- 2θ 17.1, intensity 55
- 2θ 21.7, intensity 52
- 2θ 25.4, intensity 66
- 2θ 30.2, intensity 100
- 2θ 32.5, intensity 42
- 2θ 38.7, intensity 27
- 2θ 52.5, intensity 31

Structure:
Cell: 14.915 6.656 7.228 Å, 90.00 90.00 90.00°
Sites, in units of the cell vectors:
Mg  0.229  0.250  0.072
Mg  0.271  0.750  0.572
Mg  0.729  0.250  0.428
Mg  0.771  0.750  0.928
Mo  0.000  0.000  0.000
Mo  0.000  0.500  0.000
Mo  0.124  0.250  0.629
Mo  0.376  0.750  0.129
Mo  0.500  0.000  0.500
Mo  0.500  0.500  0.500
Mo  0.624  0.250  0.871
Mo  0.876  0.750  0.371
P  0.079  0.750  0.622
P  0.192  0.750  0.102
P  0.308  0.250  0.602
P  0.421  0.250  0.122
P  0.579  0.750  0.878
P  0.692  0.750  0.398
P  0.808  0.250  0.898
P  0.921  0.250  0.378
O  0.010  0.750  0.470
O  0.029  0.750  0.814
O  0.065  0.250  0.886
O  0.137  0.551  0.104
O  0.137  0.949  0.104
O  0.145  0.571  0.612
O  0.145  0.929  0.612
O  0.241  0.250  0.436
O  0.248  0.250  0.782
O  0.252  0.750  0.282
O  0.259  0.750  0.936
O  0.355  0.071  0.112
O  0.355  0.429  0.112
O  0.363  0.051  0.604
O  0.363  0.449  0.604
O  0.435  0.750  0.386
O  0.471  0.250  0.314
O  0.490  0.250  0.970
O  0.510  0.750  0.030
O  0.529  0.750  0.686
O  0.565  0.250  0.614
O  0.637  0.551  0.396
O  0.637  0.949  0.396
O  0.645  0.571  0.888
O  0.645  0.929  0.888
O  0.741  0.250  0.064
O  0.748  0.250  0.718
O  0.752  0.750  0.218
O  0.759  0.750  0.564
O  0.855  0.071  0.388
O  0.855  0.429  0.388
O  0.863  0.051  0.896
O  0.863  0.449  0.896
O  0.935  0.750  0.114
O  0.971  0.250  0.186
O  0.990  0.250  0.530

=====

Li7Mn11O24: simulated PXRD pattern (CuKα), based on the GGA+U geometry in the Materials Project.

The 8 most intense peaks (10° ≤ 2θ ≤ 90°), sorted by position:
- 2θ 18.3, intensity 100
- 2θ 18.6, intensity 49
- 2θ 35.0, intensity 12
- 2θ 35.7, intensity 17
- 2θ 36.2, intensity 26
- 2θ 42.4, intensity 30
- 2θ 43.8, intensity 54
- 2θ 62.6, intensity 33

Structure:
Cell: 5.935 5.935 14.591 Å, 90.96 90.96 58.21°
Sites, in units of the cell vectors:
Li  0.000  0.000  0.000
Li  0.021  0.021  0.144
Li  0.328  0.328  0.199
Li  0.342  0.342  0.456
Li  0.658  0.658  0.544
Li  0.672  0.672  0.801
Li  0.979  0.979  0.856
Mn  0.000  0.000  0.500
Mn  0.000  0.500  0.000
Mn  0.162  0.662  0.667
Mn  0.165  0.165  0.668
Mn  0.337  0.337  0.840
Mn  0.338  0.838  0.333
Mn  0.500  0.000  0.000
Mn  0.662  0.162  0.667
Mn  0.663  0.663  0.160
Mn  0.835  0.835  0.332
Mn  0.838  0.338  0.333
O  0.015  0.015  0.265
O  0.038  0.485  0.744
O  0.147  0.637  0.915
O  0.161  0.161  0.405
O  0.161  0.708  0.409
O  0.178  0.178  0.921
O  0.292  0.839  0.591
O  0.322  0.322  0.067
O  0.345  0.345  0.593
O  0.363  0.853  0.085
O  0.479  0.479  0.748
O  0.485  0.038  0.744
O  0.515  0.962  0.256
O  0.521  0.521  0.252
O  0.637  0.147  0.915
O  0.655  0.655  0.407
O  0.678  0.678  0.933
O  0.708  0.161  0.409
O  0.822  0.822  0.079
O  0.839  0.292  0.591
O  0.839  0.839  0.595
O  0.853  0.363  0.085
O  0.962  0.515  0.256
O  0.985  0.985  0.735

=====

Sr2NdVO6: simulated PXRD pattern (CuKα), based on the GGA+U geometry in the Materials Project.

The 8 most intense peaks (10° ≤ 2θ ≤ 90°), sorted by position:
- 2θ 18.3, intensity 11
- 2θ 30.1, intensity 100
- 2θ 35.5, intensity 11
- 2θ 43.2, intensity 34
- 2θ 53.5, intensity 39